Most People

Journal Kita
3 min readJul 30, 2024


credits from Pinterest

I am not like most people
Sometimes I could cry just by reading a paragraph
Sometimes I could lose inside my own thoughts
And stay there for a while until an hour had passed
I am weird like that I am telling you

**These crystal structures were left in the piece by mistake**
[1]
Structure and theoretical powder XRD pattern of Ca3Mo2O7 (DFT lattice parameters and positions (GGA+U); Cu Kα, 1.54184 Å).

Cell and atoms:
```
Ca3Mo2O7
1.0
9.8402 -2.8106 0.0000
9.8402 2.8106 0.0000
0.0000 0.0000 5.7811
Ca Mo O
6 4 14
Direct
0.0477 0.5734 0.6063
0.2431 0.7569 0.5000
0.4266 0.9523 0.6063
0.5734 0.0477 0.1063
0.7569 0.2431 0.0000
0.9523 0.4266 0.1063
0.1504 0.6483 0.0520
0.3517 0.8496 0.0520
0.6483 0.1504 0.5520
0.8496 0.3517 0.5520
0.0326 0.1292 0.2430
0.0364 0.3646 0.5179
0.1292 0.0326 0.7430
0.3320 0.4305 0.3593
0.3492 0.6508 0.0924
0.3646 0.0364 0.0179
0.4305 0.3320 0.8593
0.5695 0.6680 0.3593
0.6354 0.9636 0.5179
0.6508 0.3492 0.5924
0.6680 0.5695 0.8593
0.8708 0.9674 0.2430
0.9636 0.6354 0.0179
0.9674 0.8708 0.7430
```

Main lines, by angle (5° ≤ 2θ ≤ 70°):
- 2θ = 18.03°, intensity 21
- 2θ = 22.52°, intensity 29
- 2θ = 30.94°, intensity 25
- 2θ = 31.79°, intensity 100
- 2θ = 44.99°, intensity 25
- 2θ = 46.12°, intensity 13
- 2θ = 55.56°, intensity 13
- 2θ = 56.69°, intensity 21


[2]
Structure and theoretical powder XRD pattern of LiTiMnO4 (DFT lattice parameters and positions (GGA+U); Cu Kα, 1.54184 Å).

Cell and atoms:
```
LiTiMnO4
1.0
4.1609 -4.1509 0.0000
4.1609 4.1509 0.0000
-4.0590 0.0000 4.4463
Li Ti Mn O
2 2 2 8
Direct
0.0000 0.0000 0.0000
0.7500 0.2500 0.5000
0.3743 0.6230 0.7489
0.3770 0.6257 0.2511
0.3743 0.1234 0.7494
0.8766 0.6257 0.2506
0.1261 0.8415 0.2493
0.1471 0.4178 0.2929
0.1585 0.8739 0.7507
0.1686 0.3958 0.7933
0.5822 0.8529 0.7071
0.5908 0.3736 0.7486
0.6042 0.8314 0.2067
0.6264 0.4092 0.2514
```

Main lines, by angle (5° ≤ 2θ ≤ 70°):
- 2θ = 17.96°, intensity 93
- 2θ = 18.23°, intensity 100
- 2θ = 33.64°, intensity 26
- 2θ = 35.76°, intensity 30
- 2θ = 40.58°, intensity 44
- 2θ = 43.56°, intensity 69
- 2θ = 61.08°, intensity 23
- 2θ = 63.31°, intensity 23


Entry 1:
Computed PXRD pattern
Compound: Ca2InRu
Radiation: copper Kα
Structure: a DFT-relaxed cell (PBE, Alexandria)
Lines closer than 0.1° are merged.

Peak list (8 most intense, 2θ from 10° to 90°, sorted by position)
| Position (°2θ) | I/Imax | (hkl) |
| --- | --- | --- |
| 15.37 | 79 | 0 0 2 |
| 23.44 | 77 | 0 1 1 |
| 30.68 | 78 | 1 1 1 |
| 32.22 | 42 | 0 1 3 |
| 36.91 | 72 | 1 0 4 |
| 37.95 | 100 | 1 1 3 |
| 39.61 | 38 | 2 0 0 |
| 59.66 | 34 | 1 2 4 |

Structural model:
Cell: 4.550 4.018 11.533 Å, 90.00 90.00 90.00°
Space group Amm2 (No. 38)
Asymmetric unit:
Ca: 0.000 0.000 0.000 (multiplicity 2)
Ca: 0.500 0.000 0.297 (multiplicity 2)
In: 0.500 0.000 0.586 (multiplicity 2)
Ru: 0.000 0.000 0.710 (multiplicity 2)



Entry 2:
Computed PXRD pattern
Compound: La4YN4
Radiation: copper Kα
Structure: a DFT-relaxed cell (PBE, Alexandria)
Lines closer than 0.1° are merged.

Peak list (8 most intense, 2θ from 10° to 90°, sorted by position)
| Position (°2θ) | I/Imax | (hkl) |
| --- | --- | --- |
| 29.15 | 34 | 2 0 -3 |
| 29.67 | 35 | 4 0 -1 |
| 29.79 | 71 | 1 1 1 |
| 34.31 | 100 | 3 1 -2 |
| 49.00 | 22 | 1 1 -4 |
| 49.70 | 35 | 0 2 0 |
**The piece goes on**

I am not like most people
Sometimes I could listen to one song for months
Until it easily becomes the top one on my repeat
Sometimes I could laugh my ass off
Remembering certain jokes that I have heard in the past
I am weird like that I am telling you

I am not like most people
Sometimes I could stay awake due to my own excitements
Closing my eyes for the sakes of respect that I have towards time
Sometimes I could crave for sweets in the middle of night
Just to cleanse the savory flavor on my tongue
I am weird like that I am telling you

I am not like most people
I like Hawaiian Pizza
Like the way the pineapples scrapped away
All the greasiness of the mozzarella cheese and the meats
I cannot drink coffee
But I love them enough to cheat myself once in a while
I am weird like that I am telling you

I am not like most people
I can feel people’s feelings just by looking at their eyes
I know when people are lying to me
I am able to feel things way out of normal people did
I am weird like that I am telling you

I am not like most people
I do not cry at funerals
But instead wonder about life
And how death is not the end of journey
I tend to dwell on what ifs
Overthinking about what could have been
If I live certain ways
Born certain ways
Grown up certain ways
I am weird like I am telling you

I am not like most people
Sometimes I long for the rain to fall
Puddles under my feet
Just to fill up my desire of melancholy
Sitting near the big glass window
Just to see the water falling like a waterfall
I am weird like that I am telling you

I am not like most people
When I remember the people who have left
People who have gone to the heavens
I silently pray for them
Wishing they could finally be at peace
No longer need to feel the pain
This world has to offer
I am weird like that I am telling you

I know I am not like most people
I could try and be normal
Speaking in the way people wanted me to
Dressing myself in a more fashionable way
Spending less time inside my own thoughts and daydreams
Stopping myself from wondering about the future
Starting to behave within the society’s norm
But I am weird like that I am telling you
Full of flaws and quirkiness
And I hope you accept those
With an open heart and warm embrace

Because isn’t that what make us lovable?

Unrelated to this entry: records of crystals:
~~~
The following is a theoretical powder XRD pattern of TiV3Ga4. It was derived from a DFT-relaxed cell (GGA-PBE, Alexandria), using Cu Kα (λ = 1.5418 Å).
Peak positions follow from Bragg's law for the DFT cell and can differ from measured ones.

Structure:
Lattice parameters (Å, degrees): 5.5472 7.6370 5.5109 90.00 90.00 90.00
Space group Pmna (No. 53)
Inequivalent atoms, fractional coordinates:
Ti1 0.0000 0.0000 0.0000 x2
V1 0.0000 0.5000 0.0000 x2
V2 0.2500 0.2588 0.2500 x4
Ga1 0.0000 0.0000 0.5000 x2
Ga2 0.0000 0.5000 0.5000 x2
Ga3 0.2500 0.2560 0.7500 x4

Main lines, in order of rising 2θ (2θ = 10–90°):
| 2θ (°) | intensity | (hkl) |
| --- | --- | --- |
| 40.2 | 100 | 2 2 0 |
| 40.4 | 99 | 0 2 2 |
| 46.5 | 65 | 2 0 2 |
| 47.6 | 30 | 0 4 0 |
| 68.7 | 37 | 2 4 2 |
| 81.7 | 22 | 4 2 2 |
| 82.1 | 22 | 2 2 4 |
| 83.6 | 10 | 2 6 0 |
~~~



Journal Kita

a good menace. if you are intrigued, connect with me on instagram @alittarizki